
Mindful Parenting With Mel

Dealing with misbehavior & why punishment doesnโ€™t work

By By Mel Peirce- Certified Life and Parenting Coach March 29, 2025

As parents, we want to teach our children appropriate behaviors to help them navigate life. But how should we correct our children when they hit, yell, or throw a fit when they don’t get their way? These behaviors can have us putting our children in a timeout, taking away privileges, yelling, or expressing disappointment in our children's behavior.  

We are trying to teach our kids appropriate behavior and not to hit, yell, lie, throw a fit, etc…  but when we punish, do you think they are actually reflecting on their behavior and what they did wrong?

 Here’s an example to see how this plays out:

Imagine that your son is playing with Legos. He is building something intricate, and his younger sibling comes up and wants to help. Your son is really concentrating, so he tells his sibling to go away. The upset sibling starts to disturb the Legos, and your son reacts by hitting hard enough to leave a mark.

Materials data that have nothing to do with the page
# Pr3Nd13 PBE relaxed
# energy of formation from the pure elements: 0.031 eV per atom
data_Pr3Nd13
_chemical_formula_sum 'Pr6 Nd26'
_space_group_name_H-M_alt 'A m m 2'
_space_group_IT_number 38
_space_group_name_Hall 'A 2 -2'
_cell_length_a 7.4239
_cell_length_b 11.9896
_cell_length_c 12.8414
_cell_angle_alpha 90.00
_cell_angle_beta 90.00
_cell_angle_gamma 90.00
loop_
_atom_site_label
_atom_site_type_symbol
_atom_site_fract_x
_atom_site_fract_y
_atom_site_fract_z
_atom_site_occupancy
Pr1 Pr 0.0000 0.0000 0.0000 1
Pr2 Pr 0.2503 0.0000 0.7492 1
Nd1 Nd 0.0000 0.0000 0.4993 1
Nd2 Nd 0.0000 0.2497 0.1666 1
Nd3 Nd 0.2501 0.0000 0.2500 1
Nd4 Nd 0.2503 0.2494 0.4165 1
Nd5 Nd 0.5000 0.0000 0.0000 1
Nd6 Nd 0.5000 0.0000 0.4993 1
Nd7 Nd 0.5000 0.2491 0.1664 1

----------

# K2BaMnO4, optimized geometry, DFT PBE+U
# * energy: -44.46 eV/cell
# * density: 3.9 Mg/m³
data_K2BaMnO4
_cell_length_a 6.344
_cell_length_b 5.220
_cell_length_c 6.652
_cell_angle_alpha 63.26
_cell_angle_beta 47.28
_cell_angle_gamma 69.46
_space_group_name_H-M_alt 'P 1'
_space_group_IT_number 1
loop_
_space_group_symop_operation_xyz
'x,y,z'
loop_
_atom_site_label
_atom_site_type_symbol
_atom_site_fract_x
_atom_site_fract_y
_atom_site_fract_z
_atom_site_occupancy
K1 K 0.000 0.000 0.500 1
K2 K 0.500 0.500 0.000 1
Ba1 Ba 0.339 0.339 0.661 1
Mn1 Mn 0.835 0.835 0.165 1
O1 O 0.178 0.820 0.822 1
O2 O 0.561 0.874 0.126 1
O3 O 0.820 0.178 0.180 1
O4 O 0.874 0.561 0.439 1

----------

This record from Alexandria via LeMat-Bulk describes Y3Al3V2O12 after structural relaxation. The functional is PBE+U.

Total DFT energy (no corrections): -0.60474 Ry per atom

a = 10.676 Å, b = 10.676 Å, c = 10.676 Å
α = 109.47°, β = 109.47°, γ = 109.47°
Site moments in Bohr magnetons follow the coordinates.
Fractional coordinates of all 80 atoms:
O (0.086, 0.709, 0.686)  -0.01
O (0.976, 0.686, 0.099)  -0.01
O (0.709, 0.686, 0.086)  -0.01
O (0.086, 0.877, 0.401)  -0.01
O (0.291, 0.314, 0.914)  -0.01
O (0.377, 0.291, 0.476)  -0.01
O (0.209, 0.123, 0.024)  -0.01
O (0.914, 0.123, 0.599)  -0.01
O (0.976, 0.791, 0.877)  -0.01
O (0.814, 0.791, 0.414)  -0.01
O (0.123, 0.599, 0.914)  -0.01
O (0.877, 0.401, 0.086)  -0.01
O (0.709, 0.524, 0.623)  -0.01
O (0.314, 0.901, 0.024)  -0.01
O (0.901, 0.024, 0.314)  -0.01
O (0.686, 0.099, 0.976)  -0.01
O (0.186, 0.476, 0.599)  -0.01
O (0.586, 0.186, 0.209)  -0.01
O (0.901, 0.377, 0.586)  -0.01
O (0.686, 0.086, 0.709)  -0.01
O (0.623, 0.414, 0.099)  -0.01
O (0.524, 0.401, 0.814)  -0.01
O (0.401, 0.814, 0.524)  -0.01
O (0.623, 0.709, 0.524)  -0.01
O (0.877, 0.976, 0.791)  -0.01
O (0.377, 0.586, 0.901)  -0.01
O (0.099, 0.976, 0.686)  -0.01
O (0.291, 0.476, 0.377)  -0.01
O (0.209, 0.586, 0.186)  -0.01
O (0.524, 0.623, 0.709)  -0.01
O (0.024, 0.314, 0.901)  -0.01
O (0.099, 0.623, 0.414)  -0.01
O (0.024, 0.209, 0.123)  -0.01
O (0.314, 0.914, 0.291)  -0.01
O (0.414, 0.099, 0.623)  -0.01
O (0.599, 0.914, 0.123)  -0.01
O (0.586, 0.901, 0.377)  -0.01
O (0.476, 0.377, 0.291)  -0.01

You’re in the middle of making dinner when your youngest comes crying and shows you the mark from his brother's hit. You call your son to the kitchen, where he fumes and yells that it wasn’t his fault. You respond by sending your son to his room for a timeout until dinner, letting him know that you’re upset and disappointed in him.

Once your son is in his room, do you think he will reflect on his behavior?  Do you think he’s thinking about how he shouldn’t have hit his sibling or what he can do differently next time?
Let’s face it, that’s not likely!

Your son is more likely to be mad at you for sending him to his room and angry at his sibling for starting the whole thing and getting him in trouble.

These calculated crystals were left in the page by mistake =
'''
Entry 1:
This record from Alexandria via LeMat-Bulk describes an optimized crystal structure of RbYAs2Br. The functional is PBE.

a b c (Å): 5.4396 5.4396 5.6808
angles (deg): 90.00 90.00 90.00
Last column: nearest neighbours and their distance in Å.
Element x y z (fractional)
Rb  0.0000  0.0000  0.0000  4 As 2.72, 2 Br 2.84
Y  0.5000  0.5000  0.5000  4 Br 3.85, 8 As 3.93
As  0.0000  0.5000  0.0000  2 Rb 2.72
As  0.5000  0.0000  0.0000  2 Rb 2.72
Br  0.0000  0.0000  0.5000  2 Rb 2.84

Its energy above the most stable polymorph in this dataset is 1.252 eV per atom. The crystal system is tetragonal. As for the uncorrected energy: -3.062 eV per atom.

Entry 2:
This record from Alexandria via LeMat-Bulk describes an optimized crystal structure of Rb2YAsBr6. The functional is PBE.

a b c (Å): 8.6032 8.6032 8.6032
angles (deg): 126.51 126.51 79.04
Last column: nearest neighbours and their distance in Å.
Element x y z (fractional)
Rb  0.2500  0.7500  0.5000  12 Br 3.91-4.30
Rb  0.7500  0.2500  0.5000  12 Br 3.91-4.30
Y  0.0000  0.0000  0.0000  6 Br 2.79-2.80
As  0.5000  0.5000  0.0000  4 Br 2.69
Br  0.2107  0.2107  0.0000  1 Y 2.80
Br  0.2547  0.2547  0.5094  1 As 2.69, 1 Y 2.79
Br  0.2547  0.7453  0.0000  1 As 2.69, 1 Y 2.79
Br  0.7453  0.2547  0.0000  1 As 2.69, 1 Y 2.79
Br  0.7453  0.7453  0.4906  1 As 2.69, 1 Y 2.79
Br  0.7893  0.7893  0.0000  1 Y 2.80

The crystal system is tetragonal. As for the uncorrected energy: -3.590 eV per atom.

Here are the calculated energy relative to the elements, uncorrected numbers, same order: 619; -1281 (meV per atom).
Here are the calculated DOS at the Fermi energy numbers, same order: 4.72; 0.00 (states/eV/f.u.).
Here are the calculated theoretical density numbers, same order: 3.99; 3.40 (g/cm3).

* * * * *

## Ac2TlMoO6 (PBE+U)

Data for Ac2TlMoO6 after structural relaxation.

Unit cell a=5.783 b=5.783 c=5.858 alpha=90.00 beta=90.00 gamma=90.00
Space group P4mm (No. 99)
Unique sites:
Ac: 0.000 0.500 0.000 (multiplicity 2)
Tl: 0.000 0.000 0.528 (multiplicity 1)
Mo: 0.500 0.500 0.631 (multiplicity 1)
O: 0.000 0.000 0.106 (multiplicity 1)
O: 0.280 0.280 0.770 (multiplicity 4)
O: 0.500 0.500 0.318 (multiplicity 1)

Computed properties:
The value obtained for the total energy is -6.955 eV/atom. The total magnetic moment is 0.10 μB per atom.

* * * * *

# 1
Y3Mg3Hg2Pt after structural relaxation, computed with PBE-GGA.

## Properties
Its space group is P-62m (189). Its mass density is 7.353 g cm⁻³. The total moment comes out at 0.4 μB/cell. Its energy is -35.98 eV per cell.

Geometry as POSCAR:
```
Y3Mg3Hg2Pt
1.0
7.578 0.000 0.000
-3.789 6.563 0.000
0.000 0.000 4.249
Hg Y Mg Pt
2 3 3 1
Cartesian
3.789 2.188 0.000
0.000 4.375 0.000
1.506 2.609 2.125
4.565 0.000 2.125
-2.283 3.954 2.125
1.788 0.000 0.000
-0.894 1.548 0.000
2.895 5.014 0.000
0.000 0.000 2.125
```

***

# 2
PuMgHg after structural relaxation, computed with PBE-GGA.

## Properties
'''

When we punish our kids, they are much more likely to end up mad at us for the punishment than to reflect on what they did wrong and learn from it.  

When our kids get mad, or they’re shamed for their behavior, the primitive part of their brain and fight mechanism has been activated — and access to the part of their brain that triggers learning and motivation has been shut off.  

This is why punishment doesn’t work, and it’s not the most effective way to teach your kids the lessons you want them to learn.

So what do you do instead?  That’s too long to put in a blog article, and why you should join the Confident Parenting Club!  I’m teaching strategies to deal with behavior challenges throughout March and I’m hosting a virtual live How To Parent Through Challenging Behaviors at the end of the month.  It’s all included in the CPC Membership.  Click here to join.